### Activity
Set down all of the data underneath without additions.

### File
/*
w:
RbSi | PBE-GGA | relaxed

a b c (Å): 13.1872 13.1872 13.1872
angles (deg): 90.00 90.00 90.00
Positions (direct):
Si 0.4347 0.4347 0.5653
Si 0.9292 0.8145 0.5602
Si 0.3145 0.4292 0.0602
Si 0.1855 0.5602 0.0708
Si 0.5602 0.9292 0.8145
Si 0.9398 0.6855 0.4292
Si 0.0602 0.6855 0.5708
Si 0.0653 0.9347 0.9347
Si 0.0708 0.1855 0.5602
Si 0.6855 0.5708 0.0602
Si 0.3145 0.5708 0.9398
Si 0.9347 0.9347 0.0653
Si 0.0708 0.8145 0.4398
Si 0.8145 0.4398 0.0708
Si 0.9398 0.3145 0.5708
Si 0.5708 0.0602 0.6855
Si 0.8145 0.5602 0.9292
Si 0.5653 0.5653 0.5653
Si 0.4292 0.9398 0.6855
Si 0.4347 0.5653 0.4347
Si 0.9292 0.1855 0.4398
Si 0.5602 0.0708 0.1855
Si 0.4292 0.0602 0.3145
Si 0.4398 0.0708 0.8145
Si 0.9347 0.0653 0.9347
Si 0.6855 0.4292 0.9398
Si 0.0653 0.0653 0.0653
Si 0.0602 0.3145 0.4292
Si 0.5653 0.4347 0.4347
Si 0.4398 0.9292 0.1855
Si 0.5708 0.9398 0.3145
Si 0.1855 0.4398 0.9292
Rb 0.6627 0.8602 0.0661
Rb 0.3602 0.8373 0.4339
Rb 0.3373 0.8602 0.9339
Rb 0.6661 0.6661 0.3339
Rb 0.8602 0.9339 0.3373
Rb 0.3602 0.1627 0.5661
Rb 0.5661 0.3602 0.1627
Rb 0.9339 0.3373 0.8602
Rb 0.8373 0.5661 0.6398
Rb 0.4339 0.6398 0.1627
Rb 0.8373 0.4339 0.3602
Rb 0.6627 0.1398 0.9339
Rb 0.9339 0.6627 0.1398
Rb 0.3339 0.3339 0.3339
Rb 0.3339 0.6661 0.6661
Rb 0.6398 0.8373 0.5661
Rb 0.1398 0.9339 0.6627
Rb 0.5661 0.6398 0.8373
Rb 0.1398 0.0661 0.3373
Rb 0.3373 0.1398 0.0661
Rb 0.8339 0.8339 0.8339
Rb 0.4339 0.3602 0.8373
Rb 0.0661 0.3373 0.1398
Rb 0.6398 0.1627 0.4339
Rb 0.1661 0.1661 0.8339
Rb 0.0661 0.6627 0.8602
Rb 0.8602 0.0661 0.6627
Rb 0.6661 0.3339 0.6661
Rb 0.1627 0.5661 0.3602
Rb 0.8339 0.1661 0.1661
Rb 0.1627 0.4339 0.6398
Rb 0.1661 0.8339 0.1661

Results
SG ... P-43n
Maximum piezoelectric response ... 0.09 C/m²

---

x:
RbSi | PBE-GGA | relaxed

a b c (Å): 11.8824 11.8824 11.8824
angles (deg): 124.74 124.74 81.97
Positions (direct):
Si 0.1425 0.1050 0.1523
Si 0.8550 0.2027 0.4625
Si 0.7973 0.2598 0.6523
Si 0.6425 0.4902 0.0375
Si 0.5098 0.5473 0.1523
Si 0.7402 0.3925 0.5375
Si 0.1075 0.7598 0.4625
Si 0.8950 0.0473 0.0375
Si 0.2402 0.7027 0.3477
Si 0.6075 0.1450 0.3477
Si 0.9527 0.9902 0.8477
Si 0.0098 0.8575 0.9625
Si 0.3550 0.8925 0.6523
Si 0.4527 0.6050 0.9625
Si 0.3950 0.3575 0.8477
Si 0.2973 0.6450 0.5375
Rb 0.4817 0.3750 0.6067
Rb 0.8806 0.6194 0.5000
Rb 0.3806 0.8806 0.2611
Rb 0.9817 0.3750 0.1067
Rb 0.6194 0.1194 0.7389
Rb 0.8694 0.6306 0.0000
Rb 0.1250 0.5183 0.8933
Rb 0.1250 0.0183 0.3933
Rb 0.6250 0.2317 0.1067
Rb 0.2683 0.8750 0.8933
Rb 0.7683 0.8750 0.3933
Rb 0.1194 0.3806 0.5000
Rb 0.6250 0.7317 0.6067
Rb 0.6306 0.8694 0.0000
Rb 0.1306 0.1306 0.7611
Rb 0.3694 0.3694 0.2389

Results
SG ... I4_1/acd

---

Stability, descending: w, x

---

w:
Rb3Th | PBE-GGA | relaxed

a b c (Å): 7.0850 7.0850 7.0850
angles (deg): 60.00 60.00 60.00
Positions (direct):
Rb 0.2500 0.2500 0.2500
Rb 0.7500 0.7500 0.7500
Rb 0.5000 0.5000 0.5000
Th 0.0000 0.0000 0.0000

Results
SG ... Fm-3m

---

x:
Rb3Th | PBE-GGA | relaxed

a b c (Å): 6.2660 6.2660 6.2660
angles (deg): 90.00 90.00 90.00
Positions (direct):
Th 0.0000 0.0000 0.0000
Rb 0.5000 0.5000 0.0000
Rb 0.0000 0.5000 0.5000
Rb 0.5000 0.0000 0.5000

Results
SG ... Pm-3m

---

Stability, descending: w, x

---

w:
Rb3Tm | PBE-GGA | relaxed

a b c (Å): 6.4150 6.4150 6.4150
angles (deg): 90.00 90.00 90.00
Positions (direct):
Rb 0.0000 0.5000 0.5000
Rb 0.5000 0.5000 0.0000
Rb 0.5000 0.0000 0.5000
Tm 0.0000 0.0000 0.0000

Results
SG ... Pm-3m

---

x:
Rb3Tm | PBE-GGA | relaxed

a b c (Å): 7.2007 7.2007 7.2007
angles (deg): 60.00 60.00 60.00
Positions (direct):
Tm 0.0000 0.0000 0.0000
Rb 0.7500 0.7500 0.7500
Rb 0.5000 0.5000 0.5000
Rb 0.2500 0.2500 0.2500

Results
SG ... Fm-3m

---

Stability, descending: x, w

---

w:
Rb3Zr | PBE-GGA | relaxed

a b c (Å): 7.5211 7.5211 7.5211
angles (deg): 130.69 130.69 72.30
Positions (direct):
Zr 0.0000 0.0000 0.0000
Rb 0.2500 0.7500 0.5000
Rb 0.7500 0.2500 0.5000
Rb 0.5000 0.5000 0.0000

Results
SG ... I4/mmm

---

x:
Rb3Zr | PBE-GGA | relaxed

a b c (Å): 6.2261 6.2261 6.2261
*/

### Outcome
w:
RbSi | PBE-GGA | relaxed

a b c (Å): 13.1872 13.1872 13.1872
angles (deg): 90.00 90.00 90.00
Positions (direct):
Si 0.4347 0.4347 0.5653
Si 0.9292 0.8145 0.5602
Si 0.3145 0.4292 0.0602
Si 0.1855 0.5602 0.0708
Si 0.5602 0.9292 0.8145
Si 0.9398 0.6855 0.4292
Si 0.0602 0.6855 0.5708
Si 0.0653 0.9347 0.9347
Si 0.0708 0.1855 0.5602
Si 0.6855 0.5708 0.0602
Si 0.3145 0.5708 0.9398
Si 0.9347 0.9347 0.0653
Si 0.0708 0.8145 0.4398
Si 0.8145 0.4398 0.0708
Si 0.9398 0.3145 0.5708
Si 0.5708 0.0602 0.6855
Si 0.8145 0.5602 0.9292
Si 0.5653 0.5653 0.5653
Si 0.4292 0.9398 0.6855
Si 0.4347 0.5653 0.4347
Si 0.9292 0.1855 0.4398
Si 0.5602 0.0708 0.1855
Si 0.4292 0.0602 0.3145
Si 0.4398 0.0708 0.8145
Si 0.9347 0.0653 0.9347
Si 0.6855 0.4292 0.9398
Si 0.0653 0.0653 0.0653
Si 0.0602 0.3145 0.4292
Si 0.5653 0.4347 0.4347
Si 0.4398 0.9292 0.1855
Si 0.5708 0.9398 0.3145
Si 0.1855 0.4398 0.9292
Rb 0.6627 0.8602 0.0661
Rb 0.3602 0.8373 0.4339
Rb 0.3373 0.8602 0.9339
Rb 0.6661 0.6661 0.3339
Rb 0.8602 0.9339 0.3373
Rb 0.3602 0.1627 0.5661
Rb 0.5661 0.3602 0.1627
Rb 0.9339 0.3373 0.8602
Rb 0.8373 0.5661 0.6398
Rb 0.4339 0.6398 0.1627
Rb 0.8373 0.4339 0.3602
Rb 0.6627 0.1398 0.9339
Rb 0.9339 0.6627 0.1398
Rb 0.3339 0.3339 0.3339
Rb 0.3339 0.6661 0.6661
Rb 0.6398 0.8373 0.5661
Rb 0.1398 0.9339 0.6627
Rb 0.5661 0.6398 0.8373
Rb 0.1398 0.0661 0.3373
Rb 0.3373 0.1398 0.0661
Rb 0.8339 0.8339 0.8339
Rb 0.4339 0.3602 0.8373
Rb 0.0661 0.3373 0.1398
Rb 0.6398 0.1627 0.4339
Rb 0.1661 0.1661 0.8339
Rb 0.0661 0.6627 0.8602
Rb 0.8602 0.0661 0.6627
Rb 0.6661 0.3339 0.6661
Rb 0.1627 0.5661 0.3602
Rb 0.8339 0.1661 0.1661
Rb 0.1627 0.4339 0.6398
Rb 0.1661 0.8339 0.1661

Results
SG ... P-43n
Maximum piezoelectric response ... 0.09 C/m²

---

x:
RbSi | PBE-GGA | relaxed

a b c (Å): 11.8824 11.8824 11.8824
angles (deg): 124.74 124.74 81.97
Positions (direct):
Si 0.1425 0.1050 0.1523
Si 0.8550 0.2027 0.4625
Si 0.7973 0.2598 0.6523
Si 0.6425 0.4902 0.0375
Si 0.5098 0.5473 0.1523
Si 0.7402 0.3925 0.5375
Si 0.1075 0.7598 0.4625
Si 0.8950 0.0473 0.0375
Si 0.2402 0.7027 0.3477
Si 0.6075 0.1450 0.3477
Si 0.9527 0.9902 0.8477
Si 0.0098 0.8575 0.9625
Si 0.3550 0.8925 0.6523
Si 0.4527 0.6050 0.9625
Si 0.3950 0.3575 0.8477
Si 0.2973 0.6450 0.5375
Rb 0.4817 0.3750 0.6067
Rb 0.8806 0.6194 0.5000
Rb 0.3806 0.8806 0.2611
Rb 0.9817 0.3750 0.1067
Rb 0.6194 0.1194 0.7389
Rb 0.8694 0.6306 0.0000
Rb 0.1250 0.5183 0.8933
Rb 0.1250 0.0183 0.3933
Rb 0.6250 0.2317 0.1067
Rb 0.2683 0.8750 0.8933
Rb 0.7683 0.8750 0.3933
Rb 0.1194 0.3806 0.5000
Rb 0.6250 0.7317 0.6067
Rb 0.6306 0.8694 0.0000
Rb 0.1306 0.1306 0.7611
Rb 0.3694 0.3694 0.2389

Results
SG ... I4_1/acd

---

Stability, descending: w, x

---

w:
Rb3Th | PBE-GGA | relaxed

a b c (Å): 7.0850 7.0850 7.0850
angles (deg): 60.00 60.00 60.00
Positions (direct):
Rb 0.2500 0.2500 0.2500
Rb 0.7500 0.7500 0.7500
Rb 0.5000 0.5000 0.5000
Th 0.0000 0.0000 0.0000

Results
SG ... Fm-3m

---

x:
Rb3Th | PBE-GGA | relaxed

a b c (Å): 6.2660 6.2660 6.2660
angles (deg): 90.00 90.00 90.00
Positions (direct):
Th 0.0000 0.0000 0.0000
Rb 0.5000 0.5000 0.0000
Rb 0.0000 0.5000 0.5000
Rb 0.5000 0.0000 0.5000

Results
SG ... Pm-3m

---

Stability, descending: w, x

---

w:
Rb3Tm | PBE-GGA | relaxed

a b c (Å): 6.4150 6.4150 6.4150
angles (deg): 90.00 90.00 90.00
Positions (direct):
Rb 0.0000 0.5000 0.5000
Rb 0.5000 0.5000 0.0000
Rb 0.5000 0.0000 0.5000
Tm 0.0000 0.0000 0.0000

Results
SG ... Pm-3m

---

x:
Rb3Tm | PBE-GGA | relaxed

a b c (Å): 7.2007 7.2007 7.2007
angles (deg): 60.00 60.00 60.00
Positions (direct):
Tm 0.0000 0.0000 0.0000
Rb 0.7500 0.7500 0.7500
Rb 0.5000 0.5000 0.5000
Rb 0.2500 0.2500 0.2500

Results
SG ... Fm-3m

---

Stability, descending: x, w

---

w:
Rb3Zr | PBE-GGA | relaxed

a b c (Å): 7.5211 7.5211 7.5211
angles (deg): 130.69 130.69 72.30
Positions (direct):
Zr 0.0000 0.0000 0.0000
Rb 0.2500 0.7500 0.5000
Rb 0.7500 0.2500 0.5000
Rb 0.5000 0.5000 0.0000

Results
SG ... I4/mmm

---

x:
Rb3Zr | PBE-GGA | relaxed

a b c (Å): 6.2261 6.2261 6.2261